## Request
Retype every line further below that contains the word "diffraction".

## Source
1.
Starting from the GGA-PBE geometry in Alexandria, the powder X-ray diffraction pattern of KTl6Se4 was calculated for Cu Kα X-rays.
Kinematic intensities with the Lorentz-polarization factor, no thermal factor.

Cell and atoms:
```
KTl6Se4
1.0
8.0069 -3.6497 0.0000
8.0069 3.6497 0.0000
-3.1524 0.0000 6.3701
K Tl Se
1 6 4
Cartesian
0.0000 0.0000 0.0000
6.4307 3.6431 3.1851
4.8463 1.5256 0.9079
8.0151 1.5256 5.4622
8.0069 0.0025 0.0000
3.6664 -1.5213 3.3072
9.1950 -1.5213 3.0630
3.9704 1.5789 3.9969
8.8910 1.5789 2.3732
5.5880 -1.5790 0.7409
7.2734 -1.5790 5.6292
```

Most intense lines, 2θ from 10° to 90°, by angle:
d = 4.153 Å, I 100; d = 3.253 Å, I 76; d = 3.185 Å, I 61; d = 3.119 Å, I 54; d = 2.933 Å, I 92; d = 2.559 Å, I 65; d = 2.546 Å, I 89; d = 2.525 Å, I 60; d = 2.392 Å, I 41; d = 2.167 Å, I 33; d = 1.743 Å, I 36; d = 1.479 Å, I 28



2.
Starting from the GGA-PBE geometry in Alexandria, the powder X-ray diffraction pattern of AcLaTh2 was calculated for Cu Kα X-rays.
Kinematic intensities with the Lorentz-polarization factor, no thermal factor.

Cell and atoms:
```
AcLaTh2
1.0
3.6916 0.0000 0.0000
-1.8458 3.1970 0.0000
0.0000 0.0000 36.4336
Ac La Th
3 3 6
Cartesian
0.0000 0.0000 0.0000
0.0000 2.1314 24.2891
1.8458 1.0657 12.1445
0.0000 0.0000 6.1625
0.0000 2.1314 30.4516
1.8458 1.0657 18.3071
0.0000 0.0000 21.2139
0.0000 0.0000 27.4303
0.0000 2.1314 9.0694
0.0000 2.1314 15.2858
1.8458 1.0657 3.1412
1.8458 1.0657 33.3584
```

Most intense lines, 2θ from 10° to 90°, by angle:
d = 3.185 Å, I 15; d = 3.149 Å, I 24; d = 3.036 Å, I 50; d = 3.017 Å, I 20; d = 2.928 Å, I 100; d = 2.724 Å, I 71; d = 2.403 Å, I 17; d = 1.846 Å, I 38; d = 1.780 Å, I 27; d = 1.577 Å, I 45; d = 1.561 Å, I 16; d = 1.172 Å, I 17



3.
Starting from the GGA-PBE geometry in Alexandria, the powder X-ray diffraction pattern of PmB6Mo2 was calculated for Cu Kα X-rays.
Kinematic intensities with the Lorentz-polarization factor, no thermal factor.

Cell and atoms:
```
PmB6Mo2
1.0
-1.5906 3.5074 4.2827
1.5906 -3.5074 4.2827
1.5906 3.5074 -4.2827
Pm B Mo
1 6 2
Cartesian
0.0000 0.0000 0.0000
1.5906 1.8332 -1.6654
1.5906 2.3848 0.0000
1.5906 1.8332 1.6654
0.0000 1.6742 2.6173
0.0000 1.1225 4.2827
0.0000 1.6742 5.9480
1.5906 0.0000 2.9522
0.0000 3.5074 1.3304
```

Most intense lines, 2θ from 10° to 90°, by angle:
d = 3.507 Å, I 86; d = 2.982 Å, I 65; d = 2.644 Å, I 100; d = 2.400 Å, I 71; d = 2.272 Å, I 88; d = 1.809 Å, I 35; d = 1.754 Å, I 17; d = 1.723 Å, I 65; d = 1.512 Å, I 21; d = 1.414 Å, I 19; d = 1.363 Å, I 25; d = 1.195 Å, I 18

----------

[1]
# Cs2DyGeCl6
Computed PXRD pattern, Cu Kα. Input: DFT lattice parameters and positions (PBE).
Peak positions follow from Bragg's law for the DFT cell and can differ from measured ones.

Structure:
Lattice parameters (Å, degrees): 7.990 7.990 10.599 90.00 90.00 90.00
Space group I4/mmm (No. 139)
Asymmetric unit:
Cs 0.000 0.500 0.250
Dy 0.000 0.000 0.000
Ge 0.000 0.000 0.500
Cl 0.000 0.000 0.250
Cl 0.233 0.233 0.000

Most intense lines, 10 to 90 degrees two-theta, most intense first:
| 2θ (°) | Rel. int. |
| --- | --- |
| 23.01 | 100 |
| 31.67 | 63 |
| 22.25 | 55 |
| 39.51 | 48 |
| 47.02 | 39 |
| 33.83 | 26 |
| 40.87 | 23 |
| 45.40 | 22 |
| 27.97 | 21 |
| 57.81 | 20 |

[2]
# CsErTa6Cl18
Computed PXRD pattern, Cu Kα. Input: DFT lattice parameters and positions (PBE).
Peak positions follow from Bragg's law for the DFT cell and can differ from measured ones.

Structure:
Lattice parameters (Å, degrees): 9.2737 9.2737 17.3024 90.00 90.00 120.00
Space group P-31c (No. 163)
Asymmetric unit:
Cs 0.3333 0.6667 0.2500
Er 0.3333 0.6667 0.7500
Ta 0.0396 0.1958 0.9322
Cl 0.0469 0.2356 0.1614
Cl 0.0870 0.4495 0.8383
Cl 0.1428 0.4211 0.4987

Most intense lines, 10 to 90 degrees two-theta, most intense first:
| 2θ (°) | Rel. int. |
| --- | --- |
| 11.02 | 100 |
| 15.05 | 99 |
| 36.15 | 47 |
| 43.30 | 37 |
| 10.22 | 26 |
| 29.42 | 21 |
| 21.75 | 20 |
| 44.33 | 19 |
| 40.27 | 19 |
| 35.09 | 15 |

[3]
# Cs2PdCl2F2

## Written answer
Starting from the GGA-PBE geometry in Alexandria, the powder X-ray diffraction pattern of KTl6Se4 was calculated for Cu Kα X-rays.
Starting from the GGA-PBE geometry in Alexandria, the powder X-ray diffraction pattern of AcLaTh2 was calculated for Cu Kα X-rays.
Starting from the GGA-PBE geometry in Alexandria, the powder X-ray diffraction pattern of PmB6Mo2 was calculated for Cu Kα X-rays.